Input
Below is an optimized crystal structure of BaP6H16N4O18, with properties calculated at the PBE level.

Properties
Calculated volume (Å³/cell): 998.0
DFT total energy (eV/atom): -6.185
Energy with MP2020 corrections (eV per cell): -581.41
ΔE_f (eV per atom): -1.77
Total magnetic moment (μB/atom): 0.000
Space-group type: P31c, No. 159

Cell: 11.233 11.233 9.133 Å, 90.00 90.00 120.00°
Atoms (fractional coordinates):
Ba1 0.333 0.667 0.000
Ba2 0.667 0.333 0.500
P1 0.007 0.455 0.271
P2 0.017 0.294 0.018
P3 0.277 0.983 0.018
P4 0.294 0.017 0.518
P5 0.448 0.993 0.271
P6 0.455 0.007 0.771
P7 0.545 0.552 0.271
P8 0.552 0.545 0.771
P9 0.706 0.723 0.018
P10 0.723 0.706 0.518
P11 0.983 0.277 0.518
P12 0.993 0.448 0.771
H1 0.037 0.838 0.657
H2 0.053 0.845 0.323
H3 0.073 0.745 0.197
H4 0.074 0.758 0.791
H5 0.155 0.208 0.323
H6 0.162 0.199 0.657
H7 0.199 0.162 0.157
H8 0.208 0.155 0.823
H9 0.240 0.589 0.482
H10 0.242 0.316 0.791
H11 0.255 0.328 0.197
H12 0.316 0.242 0.291
H13 0.328 0.255 0.697
H14 0.333 0.667 0.632
H15 0.349 0.760 0.482
H16 0.411 0.651 0.482
H17 0.589 0.240 0.982
H18 0.651 0.411 0.982
H19 0.667 0.333 0.132
H20 0.672 0.927 0.197
H21 0.684 0.926 0.791
H22 0.745 0.073 0.697
H23 0.758 0.074 0.291
H24 0.760 0.349 0.982
H25 0.792 0.947 0.323
H26 0.801 0.963 0.657
H27 0.838 0.037 0.157
H28 0.845 0.053 0.823
H29 0.926 0.684 0.291
H30 0.927 0.672 0.697
H31 0.947 0.792 0.823
H32 0.963 0.801 0.157
N1 0.004 0.770 0.242
N2 0.230 0.233 0.242
N3 0.233 0.230 0.742
N4 0.333 0.667 0.519
N5 0.667 0.333 0.019
N6 0.767 0.996 0.242
N7 0.770 0.004 0.742
N8 0.996 0.767 0.742
O1 0.015 0.333 0.685
O2 0.056 0.425 0.430
O3 0.064 0.206 0.493
O4 0.129 0.577 0.783
O5 0.129 0.584 0.215
O6 0.142 0.936 0.493
O7 0.169 0.372 0.990
O8 0.203 0.831 0.990
O9 0.206 0.064 0.993
O10 0.318 0.985 0.685
O11 0.333 0.015 0.185
O12 0.369 0.944 0.430
O13 0.372 0.169 0.490
O14 0.416 0.546 0.215
O15 0.423 0.552 0.783
O16 0.425 0.056 0.930
O17 0.448 0.871 0.783
O18 0.454 0.871 0.215
O19 0.546 0.416 0.715
O20 0.552 0.423 0.283
O21 0.575 0.631 0.430
O22 0.577 0.129 0.283
O23 0.584 0.129 0.715
O24 0.628 0.797 0.990
O25 0.631 0.575 0.930
O26 0.667 0.682 0.685
O27 0.682 0.667 0.185
O28 0.794 0.858 0.493
O29 0.797 0.628 0.490
O30 0.831 0.203 0.490
O31 0.858 0.794 0.993
O32 0.871 0.448 0.283
O33 0.871 0.454 0.715
O34 0.936 0.142 0.993
O35 0.944 0.369 0.930
O36 0.985 0.318 0.185

Below is an optimized crystal structure of BaNpH3O6, with properties calculated at the PBE level.

Properties
Calculated volume (Å³/cell): 298.7
DFT total energy (eV/atom): -7.050
Energy with MP2020 corrections (eV per cell): -163.35
ΔE_f (eV per atom): -2.45
Total magnetic moment (μB/atom): 0.000
Space-group type: P-1, No. 2

Cell: 6.905 7.083 7.445 Å, 89.43 65.50 66.55°
Atoms (fractional coordinates):
Ba1 0.208 0.459 0.168
Ba2 0.792 0.541 0.832
Np1 0.000 0.000 0.000
Np2 0.500 0.500 0.500
H1 0.270 0.952 0.561
H2 0.326 0.964 0.236
H3 0.484 0.044 0.295
H4 0.516 0.956 0.705
H5 0.674 0.036 0.764
H6 0.730 0.048 0.439
O1 0.079 0.232 0.976
O2 0.212 0.489 0.541
O3 0.243 0.844 0.078
O4 0.291 0.863 0.661
O5 0.321 0.072 0.324
O6 0.465 0.440 0.757
O7 0.535 0.560 0.243
O8 0.679 0.928 0.676
O9 0.709 0.137 0.339
O10 0.757 0.156 0.922
O11 0.788 0.511 0.459
O12 0.921 0.768 0.024

Below is an optimized crystal structure of BaH16O10, with properties calculated at the PBE level.

Properties
Calculated volume (Å³/cell): 491.4
DFT total energy (eV/atom): -5.032
Energy with MP2020 corrections (eV per cell): -285.46
ΔE_f (eV per atom): -1.37
Total magnetic moment (μB/atom): 0.000
Space-group type: Pc, No. 7
Polymorph energy (0 for the lowest one) (meV/atom): 25.7

Cell: 6.390 6.413 11.993 Å, 90.00 90.67 90.00°
Atoms (fractional coordinates):
Ba1 0.000 0.005 0.000
Ba2 0.000 0.995 0.500
H1 0.044 0.451 0.138
H2 0.044 0.549 0.638
H3 0.162 0.329 0.791
H4 0.162 0.671 0.291
H5 0.275 0.413 0.901
H6 0.275 0.587 0.401
H7 0.280 0.402 0.105
H8 0.280 0.598 0.605
H9 0.317 0.161 0.295
H10 0.317 0.839 0.795
H11 0.399 0.281 0.607
Job
Quote the listing further above from the first line to the one with "0.317 0.161" word for word, please.
Reply
Below is an optimized crystal structure of BaP6H16N4O18, with properties calculated at the PBE level.

Properties
Calculated volume (Å³/cell): 998.0
DFT total energy (eV/atom): -6.185
Energy with MP2020 corrections (eV per cell): -581.41
ΔE_f (eV per atom): -1.77
Total magnetic moment (μB/atom): 0.000
Space-group type: P31c, No. 159

Cell: 11.233 11.233 9.133 Å, 90.00 90.00 120.00°
Atoms (fractional coordinates):
Ba1 0.333 0.667 0.000
Ba2 0.667 0.333 0.500
P1 0.007 0.455 0.271
P2 0.017 0.294 0.018
P3 0.277 0.983 0.018
P4 0.294 0.017 0.518
P5 0.448 0.993 0.271
P6 0.455 0.007 0.771
P7 0.545 0.552 0.271
P8 0.552 0.545 0.771
P9 0.706 0.723 0.018
P10 0.723 0.706 0.518
P11 0.983 0.277 0.518
P12 0.993 0.448 0.771
H1 0.037 0.838 0.657
H2 0.053 0.845 0.323
H3 0.073 0.745 0.197
H4 0.074 0.758 0.791
H5 0.155 0.208 0.323
H6 0.162 0.199 0.657
H7 0.199 0.162 0.157
H8 0.208 0.155 0.823
H9 0.240 0.589 0.482
H10 0.242 0.316 0.791
H11 0.255 0.328 0.197
H12 0.316 0.242 0.291
H13 0.328 0.255 0.697
H14 0.333 0.667 0.632
H15 0.349 0.760 0.482
H16 0.411 0.651 0.482
H17 0.589 0.240 0.982
H18 0.651 0.411 0.982
H19 0.667 0.333 0.132
H20 0.672 0.927 0.197
H21 0.684 0.926 0.791
H22 0.745 0.073 0.697
H23 0.758 0.074 0.291
H24 0.760 0.349 0.982
H25 0.792 0.947 0.323
H26 0.801 0.963 0.657
H27 0.838 0.037 0.157
H28 0.845 0.053 0.823
H29 0.926 0.684 0.291
H30 0.927 0.672 0.697
H31 0.947 0.792 0.823
H32 0.963 0.801 0.157
N1 0.004 0.770 0.242
N2 0.230 0.233 0.242
N3 0.233 0.230 0.742
N4 0.333 0.667 0.519
N5 0.667 0.333 0.019
N6 0.767 0.996 0.242
N7 0.770 0.004 0.742
N8 0.996 0.767 0.742
O1 0.015 0.333 0.685
O2 0.056 0.425 0.430
O3 0.064 0.206 0.493
O4 0.129 0.577 0.783
O5 0.129 0.584 0.215
O6 0.142 0.936 0.493
O7 0.169 0.372 0.990
O8 0.203 0.831 0.990
O9 0.206 0.064 0.993
O10 0.318 0.985 0.685
O11 0.333 0.015 0.185
O12 0.369 0.944 0.430
O13 0.372 0.169 0.490
O14 0.416 0.546 0.215
O15 0.423 0.552 0.783
O16 0.425 0.056 0.930
O17 0.448 0.871 0.783
O18 0.454 0.871 0.215
O19 0.546 0.416 0.715
O20 0.552 0.423 0.283
O21 0.575 0.631 0.430
O22 0.577 0.129 0.283
O23 0.584 0.129 0.715
O24 0.628 0.797 0.990
O25 0.631 0.575 0.930
O26 0.667 0.682 0.685
O27 0.682 0.667 0.185
O28 0.794 0.858 0.493
O29 0.797 0.628 0.490
O30 0.831 0.203 0.490
O31 0.858 0.794 0.993
O32 0.871 0.448 0.283
O33 0.871 0.454 0.715
O34 0.936 0.142 0.993
O35 0.944 0.369 0.930
O36 0.985 0.318 0.185

Below is an optimized crystal structure of BaNpH3O6, with properties calculated at the PBE level.

Properties
Calculated volume (Å³/cell): 298.7
DFT total energy (eV/atom): -7.050
Energy with MP2020 corrections (eV per cell): -163.35
ΔE_f (eV per atom): -2.45
Total magnetic moment (μB/atom): 0.000
Space-group type: P-1, No. 2

Cell: 6.905 7.083 7.445 Å, 89.43 65.50 66.55°
Atoms (fractional coordinates):
Ba1 0.208 0.459 0.168
Ba2 0.792 0.541 0.832
Np1 0.000 0.000 0.000
Np2 0.500 0.500 0.500
H1 0.270 0.952 0.561
H2 0.326 0.964 0.236
H3 0.484 0.044 0.295
H4 0.516 0.956 0.705
H5 0.674 0.036 0.764
H6 0.730 0.048 0.439
O1 0.079 0.232 0.976
O2 0.212 0.489 0.541
O3 0.243 0.844 0.078
O4 0.291 0.863 0.661
O5 0.321 0.072 0.324
O6 0.465 0.440 0.757
O7 0.535 0.560 0.243
O8 0.679 0.928 0.676
O9 0.709 0.137 0.339
O10 0.757 0.156 0.922
O11 0.788 0.511 0.459
O12 0.921 0.768 0.024

Below is an optimized crystal structure of BaH16O10, with properties calculated at the PBE level.

Properties
Calculated volume (Å³/cell): 491.4
DFT total energy (eV/atom): -5.032
Energy with MP2020 corrections (eV per cell): -285.46
ΔE_f (eV per atom): -1.37
Total magnetic moment (μB/atom): 0.000
Space-group type: Pc, No. 7
Polymorph energy (0 for the lowest one) (meV/atom): 25.7

Cell: 6.390 6.413 11.993 Å, 90.00 90.67 90.00°
Atoms (fractional coordinates):
Ba1 0.000 0.005 0.000
Ba2 0.000 0.995 0.500
H1 0.044 0.451 0.138
H2 0.044 0.549 0.638
H3 0.162 0.329 0.791
H4 0.162 0.671 0.291
H5 0.275 0.413 0.901
H6 0.275 0.587 0.401
H7 0.280 0.402 0.105
H8 0.280 0.598 0.605
H9 0.317 0.161 0.295